Ashley Winchester Sep 16, 2014
I recently cut my collection down to about 1/3 of what it was and my backlog isn't as bad as it once was. Anyway, what are some of the games you've been meaning to get around to? Here are some of mine:
Baku Baku (SAT)
I believe Baku Baku means "chomp chomp" or something like that. This is basically a Tetris clone I played on the PC for like two seconds back in 1997 and haven't played or seen since... but I just having a thing for.
Castlevania: Order of Ecclesia (NDS)
Technically played it... for like fifteen minutes. Not that I didn't like it, but I played Dawn of Sorrow and Portrait of Ruin right before it and I kind of got "Castlevaniaed Out" when I started this.
Devil May Cry HD Collection (PS3)
I've only played DMC4 and its entirety and really like it even though it's clearly an unfinished product. I played the original game up to the first boss and that was it. However, I really suck at these games.
Duke Nukem: Land of the Babes (PS1)
Think Duke Nukem a la Tomb Raider. I've played the first game done in this style (Time to Kill) but that was long ago. I picked them up on the off chance they have managed to not age terribly.
Eternal Darkness: Sanity's Requiem (NGC)
Man, can't tell you how many times I've heard the words "cult classic" uttered when in regards to this game.
Final Fantasy Adventure (GB)
Played a small amount eons ago, but not enough to constitute playing it.
Final Fantasy X/X-2 HD Remaster Limited Edition (PS3)
I have never played X-2 and it's never been high on my list. Really do need to replay X.
God of War (PS2)
I've seen most of the game played by another person but have never played it myself.
The Guardian Legend (NES)
Always wanted to play this one.
Legaia 2: Duel Saga (PS2)
I don't really know why I want to play this one honestly.
Mega Man Powered Up (PSP)
Okay, never really gave this one a fair shot since the original is kind of unforgiving.
Metroid: Other M (Wii)
I know people think it is bad, and it might be true, but it's the only Metroid I haven't played.
Parasite Eve II (PS1)
I've only played the original. Don't have much desire for the sequel but am interested in how it differs.
Resident Evil (PS1)
Kind of cheating here... have played the Director's Cut version.
Spyro the Dragon 1/2/3 (PS1)
Played a demo of the original long ago, never sat down and played any of the full games.
Star Ocean: First Departure (PSP)
Kind of curious about this one... the ratings I see for it are rather odd to me.
Star Ocean: The Last Hope International (PS3)
Still haven't got around to this one...
Sword of Mana (GBA)
This is the remake of FF Adventure right...? Would like to compare the games.
**Inserted here: materials data:**
+++
Entry 1:
DFT (GGA-PBE) results for a relaxed TmTlO2 crystal.

As for the energy of formation: -2.76 eV per atom.

The structure belongs to space group R-3m (No. 166, hexagonal axes); the cell edges are 3.4444, 3.4444 and 19.5409 Å and the angles 90.00°, 90.00° and 120.00°. The inequivalent atoms are Tm at (0.0000, 0.0000, 0.0000), Tl at (0.0000, 0.0000, 0.5000) and O at (0.0000, 0.0000, 0.2771).

Entry 2:
DFT (GGA-PBE) results for a relaxed NbCl3O crystal.

As for the energy of formation: -1.75 eV per atom.

The structure belongs to space group P4_2/mnm (No. 136); the cell edges are 11.8078, 11.8078 and 3.8703 Å and the angles 90.00°, 90.00° and 90.00°. The inequivalent atoms are Nb at (0.1202, 0.1202, 0.0000), Cl at (0.0977, 0.9023, 0.0000), Cl at (0.0995, 0.3138, 0.0000) and O at (0.1087, 0.1087, 0.5000).

Entry 3:
DFT (GGA-PBE) results for a relaxed LaMg14Ni crystal.

As for the energy of formation: 0.02 eV per atom. Its energy above the lowest structure with this stoichiometry is 0.000 eV/atom.

The structure belongs to space group Amm2 (No. 38); the cell edges are 10.2643, 6.0666 and 11.8612 Å and the angles 90.00°, 90.00° and 90.00°. The inequivalent atoms are La at (0.0000, 0.0000, 0.0000), Mg at (0.0000, 0.2383, 0.2546), Mg at (0.2034, 0.0000, 0.6133), Mg at (0.2531, 0.2466, 0.3821), Mg at (0.2679, 0.0000, 0.1416), Mg at (0.5000, 0.0000, 0.4783), Mg at (0.5000, 0.0000, 0.9729), Mg at (0.5000, 0.2452, 0.7256) and Ni at (0.0000, 0.0000, 0.4519).

=====

Entry from Materials Project: an optimized crystal structure of Ca8Mn6Al2O21 (PBE+U).

a = 10.905 Å, b = 15.309 Å, c = 10.819 Å
α = 89.82°, β = 90.66°, γ = 90.10°
Sites, in units of the cell vectors:
O1 0.000 0.625 0.213
Ca1 0.976 0.879 0.001
O2 0.993 0.374 0.281
Ca2 0.735 0.114 0.751
Mn1 0.250 0.500 0.501
O3 0.849 0.986 0.656
O4 0.414 0.726 0.907
O5 0.123 0.228 0.329
O6 0.606 0.768 0.109
Al1 0.221 0.003 0.519
O7 0.464 0.868 0.763
O8 0.013 0.873 0.304
Ca3 0.021 0.618 0.997
Mn2 0.762 0.248 0.491
O9 0.231 0.355 0.476
O10 0.275 0.859 0.022
O11 0.394 0.516 0.393
O12 0.609 0.978 0.103
O13 0.852 0.996 0.173
O14 0.022 0.871 0.798
O15 0.589 0.978 0.613
Mn3 0.733 0.998 0.512
Mn4 0.243 0.759 0.481
O16 0.391 0.012 0.891
Ca4 0.491 0.360 0.008
Mn5 0.006 0.500 0.757
Mn6 0.508 0.746 0.259
O17 0.004 0.626 0.724
O18 0.507 0.124 0.722
O19 0.385 0.216 0.362
O20 0.639 0.234 0.362
Mn7 0.998 0.501 0.251
O21 0.733 0.121 0.029
O22 0.149 0.730 0.864
Mn8 0.503 0.504 0.743
Ca5 0.015 0.134 0.488
Ca6 0.234 0.886 0.760
O23 0.862 0.480 0.645
Mn9 0.757 0.748 0.507
O24 0.498 0.380 0.793
O25 0.373 0.263 0.623
Ca7 0.242 0.383 0.746
O26 0.531 0.232 0.125
O27 0.871 0.774 0.145
O28 0.906 0.732 0.414
Mn10 0.254 0.004 0.002
O29 0.898 0.522 0.393
O30 0.174 0.514 0.865
Mn11 0.504 0.251 0.746
O31 0.750 0.626 0.043
O32 0.662 0.732 0.360
Ca8 0.730 0.123 0.243
O33 0.202 0.177 0.059
O34 0.359 0.474 0.135
Al2 0.483 0.994 0.742
O35 0.773 0.375 0.460
O36 0.761 0.367 0.973
O37 0.467 0.627 0.708
Ca9 0.501 0.871 0.978
O38 0.101 0.477 0.113
+++
**So much for the materials data:**
Tales of Symphonia (NGC)
Yes, I bought this right before they announced the re-release. Kind of wanted the original anyway.
The Legend of Zelda: A Link Between Worlds (3DS)
Obviously need to play this if I'm a big fan of A Link to the Past.
The Legend of Zelda: Link's Awakening (GB)
Don't know why I was compelled to keep this one out of all the unplayed games I got rid of.
Threads of Fate (PS1)
This one has always been a big question mark for me. I'm only familiar with the music.
Valkyrie Profile: Lenneth (PSP)
Played the sequel which is a prequel... but figured try this version out to see if I like it enough to get it on the PS1.
X-Men Legends (PS2)
Not really the biggest X-Men fan but I've always wanted to try this one out.
Xenosaga Episode III: Also sprach Zarathustra (PS2)
Everyone tells me this is the best of the Xeno titles; I hope it is since the first two don't stack up with me very well.